(Work order)
The reader should quote only the lines further below with the word "atom" in them.

(Given)
____________
*i*
CaReMo2 at its PBEsol-relaxed geometry. Source: Alexandria via LeMat-Bulk, functional SCAN.

a b c (Å): 3.085 4.748 9.232
angles (deg): 90.00 90.00 90.00
Space group Imm2 (No. 44)
Asymmetric unit:
Ca 0.000 0.000 0.000 x2
Re 0.000 0.500 0.230 x2
Mo 0.000 0.000 0.505 x2
Mo 0.000 0.500 0.769 x2

Summary:
The calculation puts the density of states at the Fermi level at 3.24 states/eV/f.u. The volume is 16.9 Å³ per atom.



*ii*
CaReMo2 at its PBEsol-relaxed geometry. Source: Alexandria via LeMat-Bulk, functional SCAN.

a b c (Å): 5.378 9.500 2.621
angles (deg): 90.00 90.00 90.00
Space group Cmmm (No. 65)
Asymmetric unit:
Ca 0.000 0.000 0.000 x2
Re 0.000 0.500 0.000 x2
Mo 0.250 0.250 0.500 x4

Summary:
The calculation puts the density of states at the Fermi level at 3.09 states/eV/f.u. The volume is 16.7 Å³ per atom.
____________

(Result)
The calculation puts the density of states at the Fermi level at 3.24 states/eV/f.u. The volume is 16.9 Å³ per atom.
The calculation puts the density of states at the Fermi level at 3.09 states/eV/f.u. The volume is 16.7 Å³ per atom.